Contents:
........
This entry pairs a crystal structure of Tb7DyY5 with its calculated powder diffractogram. Radiation: Cu Kα X-rays. Structure: a cell relaxed with PBE.
Kinematic intensities with the Lorentz-polarization factor, no thermal factor.

Cell and atoms:
Cell: 8.721 8.721 8.721 Å, 134.73 100.03 97.01°
Fractional positions:
Tb: 0.000 0.000 0.000
Tb: 0.077 0.750 0.328
Tb: 0.304 0.304 0.000
Tb: 0.422 0.750 0.672
Tb: 0.499 0.999 0.500
Tb: 0.580 0.251 0.329
Tb: 0.922 0.251 0.671
Dy: 0.696 0.696 0.000
Y: 0.001 0.501 0.500
Y: 0.275 0.268 0.542
Y: 0.275 0.733 0.007
Y: 0.726 0.268 0.993
Y: 0.726 0.733 0.458

Peak list (8 most intense, 2θ = 10–90°, by intensity)
2θ/deg	I/Imax
31.48	1000
34.80	650
30.95	582
27.32	521
26.56	397
30.81	375
57.57	300
31.17	298

This entry pairs a crystal structure of TbDy2Y5 with its calculated powder diffractogram. Radiation: Cu Kα X-rays. Structure: a cell relaxed with PBE.
Kinematic intensities with the Lorentz-polarization factor, no thermal factor.

Cell and atoms:
Cell: 6.582 6.582 15.819 Å, 90.00 90.00 130.22°
Fractional positions:
Tb: 0.231 0.769 0.750
Tb: 0.769 0.231 0.250
Dy: 0.281 0.719 0.131
Dy: 0.281 0.719 0.369
Dy: 0.719 0.281 0.631
Dy: 0.719 0.281 0.869
Y: 0.042 0.958 0.250
Y: 0.120 0.880 0.548
Y: 0.120 0.880 0.952
Y: 0.422 0.578 0.594
Y: 0.422 0.578 0.906
Y: 0.578 0.422 0.094
Y: 0.578 0.422 0.406
Y: 0.880 0.120 0.048
Y: 0.880 0.120 0.452
Y: 0.958 0.042 0.750

Peak list (8 most intense, 2θ = 10–90°, by intensity)
2θ/deg	I/Imax
32.49	1000
33.47	584
32.31	493
28.72	332
14.84	236
57.74	219
30.47	213
32.04	166

Question: Number 1 is which compound?
Answer: Tb7DyY5

----------

Theoretical powder diffraction line list of Sr7Tl2Zn2 for Cu Kα, 1.54184 Å, from a PBE-relaxed structure.
Kinematic intensities with the Lorentz-polarization factor, no thermal factor.

Main lines, in order of rising 2θ (2θ from 10° to 90°):
17.7 deg, I = 59
23.1 deg, I = 50
25.1 deg, I = 59
26.0 deg, I = 45
28.1 deg, I = 75
31.5 deg, I = 27
32.2 deg, I = 58
33.2 deg, I = 100
33.4 deg, I = 32
39.1 deg, I = 44

```
data_Sr7Tl2Zn2
_chemical_formula_sum 'Sr14 Tl4 Zn4'
_space_group_name_H-M_alt 'C m m m'
_space_group_IT_number 65
_space_group_name_Hall '-C 2 2'
_cell_length_a 8.7498
_cell_length_b 12.7114
_cell_length_c 8.1393
_cell_angle_alpha 90.00
_cell_angle_beta 90.00
_cell_angle_gamma 90.00
loop_
_atom_site_label
_atom_site_fract_x
_atom_site_fract_y
_atom_site_fract_z
_atom_site_occupancy
Sr1 0.0000 0.0000 0.0000 1
Sr2 0.0000 0.5000 0.2480 1
Sr3 0.2500 0.2500 0.2662 1
Tl1 0.1708 0.0000 0.5000 1
Zn1 0.0000 0.2961 0.0000 1
```
........

Brief:
Could you write out everything further up character by character?

Result:
This entry pairs a crystal structure of Tb7DyY5 with its calculated powder diffractogram. Radiation: Cu Kα X-rays. Structure: a cell relaxed with PBE.
Kinematic intensities with the Lorentz-polarization factor, no thermal factor.

Cell and atoms:
Cell: 8.721 8.721 8.721 Å, 134.73 100.03 97.01°
Fractional positions:
Tb: 0.000 0.000 0.000
Tb: 0.077 0.750 0.328
Tb: 0.304 0.304 0.000
Tb: 0.422 0.750 0.672
Tb: 0.499 0.999 0.500
Tb: 0.580 0.251 0.329
Tb: 0.922 0.251 0.671
Dy: 0.696 0.696 0.000
Y: 0.001 0.501 0.500
Y: 0.275 0.268 0.542
Y: 0.275 0.733 0.007
Y: 0.726 0.268 0.993
Y: 0.726 0.733 0.458

Peak list (8 most intense, 2θ = 10–90°, by intensity)
2θ/deg	I/Imax
31.48	1000
34.80	650
30.95	582
27.32	521
26.56	397
30.81	375
57.57	300
31.17	298

This entry pairs a crystal structure of TbDy2Y5 with its calculated powder diffractogram. Radiation: Cu Kα X-rays. Structure: a cell relaxed with PBE.
Kinematic intensities with the Lorentz-polarization factor, no thermal factor.

Cell and atoms:
Cell: 6.582 6.582 15.819 Å, 90.00 90.00 130.22°
Fractional positions:
Tb: 0.231 0.769 0.750
Tb: 0.769 0.231 0.250
Dy: 0.281 0.719 0.131
Dy: 0.281 0.719 0.369
Dy: 0.719 0.281 0.631
Dy: 0.719 0.281 0.869
Y: 0.042 0.958 0.250
Y: 0.120 0.880 0.548
Y: 0.120 0.880 0.952
Y: 0.422 0.578 0.594
Y: 0.422 0.578 0.906
Y: 0.578 0.422 0.094
Y: 0.578 0.422 0.406
Y: 0.880 0.120 0.048
Y: 0.880 0.120 0.452
Y: 0.958 0.042 0.750

Peak list (8 most intense, 2θ = 10–90°, by intensity)
2θ/deg	I/Imax
32.49	1000
33.47	584
32.31	493
28.72	332
14.84	236
57.74	219
30.47	213
32.04	166

Question: Number 1 is which compound?
Answer: Tb7DyY5

----------

Theoretical powder diffraction line list of Sr7Tl2Zn2 for Cu Kα, 1.54184 Å, from a PBE-relaxed structure.
Kinematic intensities with the Lorentz-polarization factor, no thermal factor.

Main lines, in order of rising 2θ (2θ from 10° to 90°):
17.7 deg, I = 59
23.1 deg, I = 50
25.1 deg, I = 59
26.0 deg, I = 45
28.1 deg, I = 75
31.5 deg, I = 27
32.2 deg, I = 58
33.2 deg, I = 100
33.4 deg, I = 32
39.1 deg, I = 44

```
data_Sr7Tl2Zn2
_chemical_formula_sum 'Sr14 Tl4 Zn4'
_space_group_name_H-M_alt 'C m m m'
_space_group_IT_number 65
_space_group_name_Hall '-C 2 2'
_cell_length_a 8.7498
_cell_length_b 12.7114
_cell_length_c 8.1393
_cell_angle_alpha 90.00
_cell_angle_beta 90.00
_cell_angle_gamma 90.00
loop_
_atom_site_label
_atom_site_fract_x
_atom_site_fract_y
_atom_site_fract_z
_atom_site_occupancy
Sr1 0.0000 0.0000 0.0000 1
Sr2 0.0000 0.5000 0.2480 1
Sr3 0.2500 0.2500 0.2662 1
Tl1 0.1708 0.0000 0.5000 1
Zn1 0.0000 0.2961 0.0000 1
```